Eden Tartour: Universal Language
Communicating with Everyone: a simple wish or a possibility?
**Quantum chemistry results, kept here for reference:**
<<<
# 1
Here is a structure of composition C65H145NO6P4 in a non-equilibrium geometry from the OMol25 dataset. Energies are from ωB97M-V/def2-TZVPD.

Results
Total charge: +2
HOMO-LUMO gap (eV): 7.2
Strongest force on any atom (eV/Å): 5.2
Electronic energy (hartree): -4434.476496
HOMO level (eV): -10.394

Geometry (Å):
P1 13.72 21.01 25.16
P2 13.89 23.36 15.18
P3 8.23 26.36 22.29
P4 7.39 18.08 23.39
O1 12.90 27.83 25.19
O2 10.05 21.66 23.47
O3 8.60 22.23 22.11
O4 10.86 26.94 25.36
O5 10.59 22.17 21.49
O6 12.46 25.70 25.68
N1 9.76 22.02 22.34
C1 5.27 16.22 22.86
C2 4.34 15.17 23.41
C3 16.54 25.19 24.32
C4 5.59 30.67 23.83
C5 11.90 23.20 28.22
C6 15.51 18.78 25.67
C7 12.82 18.81 23.55
C8 10.90 26.52 21.50
C9 5.56 19.98 24.60
C10 3.95 21.84 25.59
C11 12.37 22.76 14.43
C12 12.03 23.17 18.23
C13 6.97 28.75 22.97
C14 13.20 21.49 26.82
C15 13.70 22.42 23.95
C16 13.48 24.48 16.52
C17 5.03 22.80 19.93
C18 14.69 21.91 15.85
C19 9.12 19.09 28.25
C20 13.44 26.32 21.12
C21 6.33 16.64 23.92
C22 12.14 24.42 17.28
C23 9.65 18.98 26.88
C24 4.84 21.37 24.42
C25 12.52 19.68 24.74
C26 13.32 24.09 11.19
C27 12.04 25.64 21.03
C28 8.98 18.20 24.43
C29 8.86 19.06 19.51
C30 11.61 21.65 15.10
C31 14.30 25.36 13.26
C32 11.81 22.20 29.51
C33 3.24 14.51 22.57
C34 7.15 24.94 26.08
C35 10.97 20.58 14.11
C36 6.47 24.67 20.87
C37 9.58 25.79 21.33
C38 7.80 18.00 21.58
C39 12.43 19.38 22.26
C40 15.34 20.21 25.04
C41 9.62 20.00 14.65
C42 8.25 25.43 23.83
C43 16.86 18.65 26.48
C44 16.22 22.12 16.07
C45 8.38 28.18 22.61
C46 14.92 24.16 13.83
C47 11.97 22.43 26.85
C48 8.57 18.45 25.86
C49 7.23 25.97 24.93
C50 6.57 26.14 21.41
C51 13.17 25.20 12.26
C52 12.55 18.32 21.16
C53 5.15 24.30 20.16
C54 16.94 20.91 16.87
C55 6.42 19.63 23.37
C56 16.55 20.84 18.42
C57 15.51 24.18 24.78
C58 8.48 24.61 26.82
C59 8.27 19.34 20.91
C60 9.18 20.24 18.51
C61 18.04 18.26 25.56
C62 12.19 26.87 25.44
C63 14.94 23.30 23.63
C64 13.20 22.97 19.20
C65 7.02 30.15 23.50
H1 16.04 23.45 25.39
H2 12.17 21.04 15.80
H3 9.06 19.75 21.54
H4 15.75 24.45 14.48
H5 7.01 17.54 20.98
H6 8.71 18.14 28.59
H7 5.15 24.73 19.16
H8 4.47 22.43 19.07
H9 11.04 26.80 22.54
H10 14.33 24.49 17.20
H11 9.10 28.19 23.43
H12 6.30 25.16 26.72
H13 5.02 30.03 24.51
H14 4.98 19.08 24.78
H15 6.34 28.60 22.10
H16 17.75 17.61 24.73
H17 6.49 26.91 20.64
H18 3.87 15.73 24.22
H19 11.71 19.84 13.81
H20 12.62 18.76 20.16
H21 6.21 26.10 24.56
H22 6.13 20.20 25.51
H23 4.30 21.47 23.48
H24 16.73 18.09 27.40
H25 13.89 23.80 19.32
H26 9.01 19.36 14.01
H27 16.74 19.94 16.43
H28 9.31 25.37 24.09
H29 4.81 22.15 20.78
H30 17.14 19.54 27.05
H31 5.62 22.11 24.21
H32 9.07 20.86 15.02
H33 11.03 23.83 28.04
H34 8.17 24.34 23.74
H35 15.99 20.92 25.54
H36 12.31 17.86 23.67
H37 13.82 22.12 18.92
H38 16.37 23.01 16.68
H39 5.76 26.39 22.10
H40 8.69 28.50 21.61
H41 5.81 16.01 21.94
H42 13.95 26.02 14.05
H43 3.16 21.12 25.80
H44 12.13 23.24 26.14
H45 16.30 21.84 18.76
H46 14.66 21.12 15.10
H47 9.81 19.36 15.52
H48 7.08 20.49 23.22
H49 9.59 24.70 21.38
H50 10.82 22.13 15.68
>>>
This might only be a biblical story, but it describes a certain reality where people from different nationalities cannot understand each other because of language boundaries. And even though it is getting easier to communicate, due to technological advancements, it is still not possible to communicate with the whole of humanity. The Esperanto language could have worked but what about the mute and deaf? Is there an alternative way to communicate more broadly? It seems obvious that visual communication is more universal than any spoken language. But then what about the blind…?
« Every cultural pattern and every single act of social behavior involves communication in either an explicit or implicit sense. »
Edward Sapir
A semiotic study is needed to learn how people from different cultures respond to visual communication in order to help determine whether a universal visual language is conceivable, and if so, under what conditions. Human beings have always wanted to understand and interpret the world they live in. Humanity has this desire to always know and read nature and more generally the universe. Human beings spent their life trying to understand the meanings of the signs, codes and symbol present in their environment. Even though meanings don’t necessarily come out obviously, they often exist latently waiting for being disclosed, analyzed and read.
As demonstrated by the evidence in this paper, when words are not sufficient to communicate, non-verbal communication can be powerful. Problems of communication could be partly resolved by inventing a visual language that would speak to anyone, without them having to learn it because the signs would follow the principles of semiotics. It doesn’t mean getting rid of the spoken languages and the cultures they contain, but creating a new one — a modern and universal way of communicating. Moreover, communicating with blind people should be considered: their sense of touch is more developed than it is for sighted persons, and they could be able to recognize a visual sign, code or symbol by touching it as a 3D object. Bruno Munari compared a symbol based language to the spoken one and wrote in his book Design as Art (1966): « We should try to use the symbols as the words are used in a poem: they’ll have more than one meaning, and the meanings will change according to where they are put.» Following this idea, as long as words in a poem are pleasing to hear, the 3D objects have to be pleasing to see and touch.
(Quantum chemistry results that have nothing to do with the article)
********
(1)
ORCA calculation (ωB97M-V/def2-TZVPD) on a 2-piece molecular cluster, C6H11NO4P overall at a distorted geometry.

Last column: Löwdin charge in e.
Cartesian coordinates (Å):
C: -2.452 -1.471 -0.297  -0.17
C: -1.836 2.144 0.571  -0.11
C: -1.355 -1.224 0.389  -0.20
C: -0.804 1.683 1.359  -0.09
C: 0.112 -1.462 0.023  -0.46
C: 0.807 -0.283 -0.523  -0.16
N: 0.088 0.608 -1.238  0.18
O: 3.215 -1.132 -0.841  -0.14
O: 2.756 -0.062 1.373  -0.32
O: 3.045 1.357 -0.864  -0.35
O: 0.854 -2.102 1.047  -0.03
P: 2.647 0.134 -0.110  0.25
H: -3.354 -1.269 0.289  0.01
H: -2.584 -1.881 -1.332  0.03
H: -1.754 3.182 0.168  0.04
H: -2.765 1.558 0.563  0.04
H: -0.567 0.542 1.604  0.07
H: 0.031 2.295 1.649  0.03
H: -0.034 -2.216 -0.788  0.16
H: -0.864 0.521 -1.291  0.05
H: 0.557 1.486 -1.439  0.11
H: 3.052 -1.063 -1.790  0.08
H: 1.204 -1.345 1.478  0.01

Forces on atoms 1 to 2 (eV/Å):
C -0.2 -0.2 -0.7
C 1.7 -0.1 2.4

Properties
HOMO level (spin up / spin down) in eV: -2.726 / -2.693
Energy above the lowest of the compared OMol25 structures with the same formula, charge and spin in kcal/mol: 86.9
Orbital gap (spin up / spin down) in eV: 5.83 / 5.77
Total charge: -1
E in Eh: -932.2547

=====

(2)
ORCA calculation (ωB97M-V/def2-TZVPD) on C23H25MnN4O4SSi as an isolated structure.

Last column: Löwdin charge in e.
Cartesian coordinates (Å):
Mn: 0.186 -0.507 0.293  0.70
O: -0.197 0.378 2.243  -0.32
S: 0.310 1.700 1.826  0.68
O: 1.299 2.376 2.595  -0.23
N: 0.776 1.291 0.322  -0.19
C: 2.017 1.578 -0.272  -0.23
C: 2.802 2.691 -0.158  0.02
C: 4.043 2.746 -0.834  -0.04
C: 4.498 1.701 -1.584  -0.01
C: 3.730 0.514 -1.673  -0.13
C: 4.161 -0.669 -2.309  0.04
C: 3.401 -1.804 -2.221  -0.01
C: 2.193 -1.767 -1.516  -0.10
N: 1.727 -0.665 -0.960  0.03
C: 2.493 0.472 -1.015  -0.14
C: -1.091 2.733 1.608  -0.28
C: -0.905 4.108 1.568  -0.04
C: -2.003 4.921 1.335  -0.05
C: -3.259 4.358 1.154  -0.05
C: -3.431 2.981 1.211  -0.06
C: -2.343 2.155 1.440  -0.06
H: 2.483 3.530 0.445  0.12
H: 4.643 3.640 -0.736  0.12
H: 5.456 1.748 -2.084  0.12
H: 5.109 -0.677 -2.833  0.13
H: 3.723 -2.736 -2.663  0.12
H: 1.591 -2.658 -1.402  0.12
H: 0.077 4.531 1.734  0.12
H: -1.880 5.995 1.307  0.12
H: -4.113 4.999 0.980  0.11
H: -4.418 2.553 1.091  0.11
H: -2.453 1.080 1.515  0.10
C: -0.788 1.190 -2.463  -0.18
Si: -1.359 -0.428 -1.749  0.66
C: -0.931 -1.924 -2.754  -0.17
C: -3.158 -0.389 -1.325  -0.17
H: -1.356 1.365 -3.384  0.05
H: 0.273 1.183 -2.713  0.03
H: -0.985 2.018 -1.782  0.03
H: -1.634 -1.926 -3.595  0.05
H: -1.079 -2.860 -2.214  0.05
H: 0.076 -1.892 -3.166  0.03
H: -3.688 -0.074 -2.231  0.06
H: -3.386 0.334 -0.541  0.02
H: -3.532 -1.365 -1.027  0.04
C: -2.694 -3.532 2.294  0.02
N: -1.255 -3.437 2.058  -0.03
C: -0.335 -4.300 2.642  -0.02
C: 0.980 -4.182 2.436  0.04
C: 1.518 -3.112 1.589  -0.46
O: 2.692 -2.942 1.342  0.08
N: 0.529 -2.299 1.030  0.10
C: -0.763 -2.480 1.261  -0.49
O: -1.505 -1.622 0.651  -0.11
H: -2.873 -4.342 2.994  0.10
H: -3.218 -3.738 1.363  0.10
H: -3.064 -2.601 2.718  0.10
********
Resolving the problem of communication is not a simple wish or a possibility.
_Molecular data that have nothing to do with the piece_
16
Properties=species:S:1:pos:R:3 method="wB97M-V/def2-TZVPD" fmax_ev_per_a=4.02 homo_energy_ha=-0.330 e_above_lowest_kcal_mol=33.48 gap_ev=9.5 total_charge=0 mol_weight_g_mol=116.12
C 0.991 0.294 2.074
C 1.033 0.586 0.622
C 0.373 -0.159 -0.293
C 0.666 -0.058 -1.776
O -0.454 -1.187 0.113
C -1.704 -0.406 -0.095
O -2.300 0.126 0.795
O -2.239 -0.657 -1.297
H 1.725 -0.494 2.317
H 0.008 -0.114 2.335
H 1.195 1.193 2.668
H 1.715 1.357 0.289
H 0.479 -1.006 -2.252
H 1.689 0.233 -1.937
H -0.011 0.673 -2.251
H -3.168 -0.381 -1.314
_The piece goes on_
Finding a solution could lead humanity to get rid of all the other problems.